Could you set down every line further down that contains the word "lines"?

/*
Record 1
LiTaNbAg2O6: calculated XRD peak list (λ = 1.5418 Å (Cu Kα)), based on the PBE geometry in Alexandria.
Intensities are scaled so that the largest is 100.

Most intense lines, 10 to 90 degrees two-theta, low angle first:
two_theta	d/Å	I/Imax	index
21.6	4.113	17.8	0 0 2
30.7	2.913	43.0	0 1 2
30.9	2.894	100.0	1 1 0
43.9	2.064	17.9	0 2 0
44.6	2.033	17.0	2 0 0
54.6	1.680	17.6	1 2 2

Structural model:
```
data_LiTaNbAg2O6
_chemical_formula_sum 'Li1 Ta1 Nb1 Ag2 O6'
_symmetry_space_group_name_H-M 'P m m 2'
_symmetry_Int_Tables_number 25
_cell_length_a 4.065
_cell_length_b 4.128
_cell_length_c 8.222
_cell_angle_alpha 90.00
_cell_angle_beta 90.00
_cell_angle_gamma 90.00
loop_
_symmetry_equiv_pos_as_xyz
'x,y,z'
'-x,-y,z'
'-x,y,z'
'x,-y,z'
loop_
_atom_site_label
_atom_site_fract_x
_atom_site_fract_y
_atom_site_fract_z
_atom_site_occupancy
Li1 0.000 0.000 0.000 1
Ta1 0.500 0.000 0.230 1
Nb1 0.500 0.000 0.710 1
Ag1 0.000 0.500 0.446 1
Ag2 0.000 0.500 0.871 1
O1 0.000 0.000 0.223 1
O2 0.000 0.000 0.719 1
O3 0.500 0.000 0.469 1
O4 0.500 0.000 0.979 1
O5 0.500 0.500 0.232 1
O6 0.500 0.500 0.708 1
```


Record 2
CsUCl6: calculated XRD peak list (λ = 1.5418 Å (Cu Kα)), based on the PBE geometry in Alexandria.
Intensities are scaled so that the largest is 100.

Most intense lines, 10 to 90 degrees two-theta, low angle first:
two_theta	d/Å	I/Imax	index
14.7	6.021	31.6	1 0 1
16.6	5.340	100.0	0 1 2
22.7	3.923	72.8	1 0 4
29.7	3.010	44.7	2 0 2
36.5	2.462	47.1	1 1 6
41.9	2.154	30.5	2 1 4

Structural model:
```
data_CsUCl6
_chemical_formula_sum 'Cs3 U3 Cl18'
_symmetry_space_group_name_H-M 'R -3 m'
_symmetry_Int_Tables_number 166
_symmetry_space_group_name_Hall '-R 3 2"'
_cell_length_a 7.2891
_cell_length_b 7.2891
_cell_length_c 20.0322
_cell_angle_alpha 90.00
_cell_angle_beta 90.00
_cell_angle_gamma 120.00
loop_
_atom_site_label
_atom_site_fract_x
_atom_site_fract_y
_atom_site_fract_z
_atom_site_occupancy
Cs1 0.0000 0.0000 0.0000 1
U1 0.0000 0.0000 0.5000 1
Cl1 0.0068 0.5034 0.0930 1
```


Record 3
CoRePt: calculated XRD peak list (λ = 1.5418 Å (Cu Kα)), based on the PBE geometry in Alexandria.
Intensities are scaled so that the largest is 100.

Most intense lines, 10 to 90 degrees two-theta, low angle first:
two_theta	d/Å	I/Imax	index
26.2	3.397	32.4	0 1 1
41.2	2.192	98.8	0 1 3
41.3	2.186	100.0	1 1 0
47.6	1.909	65.1	1 0 3
48.7	1.870	31.2	0 2 0
70.5	1.336	40.3	1 2 3

Structural model:
```
data_CoRePt
_chemical_formula_sum 'Co2 Re2 Pt2'
_symmetry_space_group_name_H-M 'I m m 2'
_symmetry_Int_Tables_number 44
_cell_length_a 2.694
_cell_length_b 3.740
_cell_length_c 8.115
_cell_angle_alpha 90.00
_cell_angle_beta 90.00
_cell_angle_gamma 90.00
loop_
_symmetry_equiv_pos_as_xyz
'x,y,z'
'-x,-y,z'
'-x,y,z'
'x,-y,z'
'x+1/2,y+1/2,z+1/2'
'-x+1/2,-y+1/2,z+1/2'
'-x+1/2,y+1/2,z+1/2'
'x+1/2,-y+1/2,z+1/2'
loop_
_atom_site_label
_atom_site_fract_x
_atom_site_fract_y
_atom_site_fract_z
_atom_site_occupancy
Co1 0.000 0.000 0.000 1
Re1 0.000 0.000 0.354 1
Pt1 0.000 0.000 0.675 1
```


Starting from the GGA+U geometry in Alexandria, the X-ray powder pattern of Fe4O5F3 was calculated for CuKα.
Peak positions follow from Bragg's law for the DFT cell and can differ from measured ones.

Structure:
a = 4.692 Å, b = 6.066 Å, c = 9.403 Å
α = 89.93°, β = 86.22°, γ = 89.89°
Positions (direct):
Fe 0.000 0.000 0.000
Fe 0.008 0.499 0.508
Fe 0.021 0.985 0.508
Fe 0.462 0.755 0.239
Fe 0.490 0.753 0.734
Fe 0.500 0.251 0.257
Fe 0.551 0.236 0.766
Fe 0.977 0.503 0.012
O 0.172 0.750 0.092
O 0.197 0.739 0.597
O 0.301 0.500 0.352
O 0.304 0.007 0.349
O 0.312 0.996 0.850
O 0.683 0.501 0.162
O 0.688 0.005 0.153
O 0.699 0.492 0.656
O 0.711 0.997 0.653
O 0.820 0.252 0.915
F 0.203 0.267 0.105
F 0.210 0.238 0.605
F 0.301 0.493 0.852
F 0.785 0.730 0.897
F 0.802 0.758 0.403
F 0.815 0.250 0.410

Most intense lines, 5 to 70 degrees two-theta, in order of rising 2θ:
| d [Å] | 2θ (°) | I/Imax | hkl |
| --- | --- | --- | --- |
| 3.429 | 26.0 | 97 | 1 0 2 |
| 3.210 | 27.8 | 92 | 1 0 -2 |
*/

Most intense lines, 10 to 90 degrees two-theta, low angle first:
Most intense lines, 10 to 90 degrees two-theta, low angle first:
Most intense lines, 10 to 90 degrees two-theta, low angle first:
Most intense lines, 5 to 70 degrees two-theta, in order of rising 2θ: